_To do_
What is needed: find the line further down that holds "-1.296 0.800", then give back that line and all lines after it there.
_Contents_
____________
(1)
This record from the Open Molecules 2025 dataset describes a molecular structure, C17H24Br8ClN3 in a non-equilibrium geometry. The level of theory is ωB97M-V/def2-TZVPD.

Values from the calculation:
LUMO energy ... -1.07 eV

```
53
C17H24Br8ClN3 (ωB97M-V/def2-TZVPD)
N 3.482 -0.102 -2.324
C 2.430 0.775 -2.974
C 0.998 0.494 -2.271
C 0.284 1.721 -1.666
C -1.114 1.553 -0.950
C -1.706 0.121 -0.879
Cl -3.335 -0.150 -0.028
C -0.992 -1.162 -1.470
N -1.664 -2.414 -1.281
C -0.872 -3.452 -1.845
C 0.475 -3.278 -2.592
N 1.115 -2.023 -2.770
C 0.368 -0.952 -2.172
H 3.459 -1.025 -2.776
H 3.192 -0.177 -1.337
H 2.404 0.634 -4.107
H 2.781 1.860 -2.783
H 0.766 2.744 -1.725
H -1.626 2.468 -0.507
H -1.282 -4.523 -1.747
H 0.991 -4.222 -2.995
Br -1.296 0.800 3.251
C -2.127 -0.959 3.372
C -1.112 -2.021 3.714
Br -0.028 -2.489 2.162
H -2.635 -1.136 2.424
H -2.871 -0.868 4.165
H -1.610 -2.948 4.004
H -0.424 -1.722 4.504
Br 1.617 3.200 1.302
C 0.396 4.200 2.445
C -0.647 4.925 1.631
Br 0.092 6.522 0.794
H 1.006 4.866 3.056
H -0.070 3.451 3.087
H -1.452 5.287 2.273
H -1.071 4.316 0.834
Br 0.048 3.283 -3.700
C 0.529 3.837 -5.509
C 1.878 4.512 -5.533
Br 1.768 6.337 -4.858
H -0.278 4.473 -5.873
H 0.550 2.914 -6.092
H 2.240 4.609 -6.558
H 2.629 3.996 -4.935
Br -2.825 -5.127 5.878
C -1.552 -6.053 4.728
C -0.247 -6.302 5.443
Br 0.822 -4.675 5.548
H -1.440 -5.450 3.826
H -2.035 -6.997 4.470
H 0.367 -7.010 4.886
H -0.376 -6.664 6.463
```

(2)
This record from the Open Molecules 2025 dataset describes a single C9H18N2O molecule in a non-equilibrium geometry. The level of theory is ωB97M-V/def2-TZVPD.

Values from the calculation:
Structure (SMILES) ... CC(C)(C)C1CCN(N=O)CC1
LUMO energy ... 0.66 eV

```
30
C9H18N2O (ωB97M-V/def2-TZVPD)
C 2.073 1.442 0.181
C 1.434 0.408 -0.819
C 1.165 1.052 -2.219
C 2.302 -0.945 -1.022
C 0.001 -0.015 -0.174
C 0.116 -0.998 1.106
C -1.248 -1.280 1.654
N -2.438 -0.842 0.904
N -3.774 -1.098 1.060
O -4.104 -1.981 1.814
C -2.454 0.385 0.095
C -1.113 1.046 0.075
H 1.335 2.228 0.435
H 3.089 1.747 -0.127
H 2.270 1.130 1.168
H 0.369 0.444 -2.671
H 0.680 2.009 -1.934
H 2.217 1.202 -2.731
H 2.588 -1.424 -2.058
H 3.347 -0.629 -0.695
H 2.151 -1.906 -0.489
H -0.376 -0.874 -0.912
H 0.537 -1.988 0.965
H 0.767 -0.368 1.702
H -1.433 -2.312 1.951
H -1.297 -0.880 2.645
H -2.823 -0.059 -0.840
H -3.123 1.112 0.407
H -0.900 1.510 1.174
H -1.356 1.883 -0.645
```

* * * * *

C26H39FeO6Si | the ωB97M-V functional and the def2-TZVPD basis

CARTESIAN COORDINATES (ANGSTROEM)
C -0.13605 -0.20198 -4.37412
C -0.62082 -1.18102 -3.26237
C -0.30855 1.22707 -3.81516
C -1.40991 1.07422 -2.75012
H -0.58882 1.91404 -4.62242
H 0.63495 1.55942 -3.35352
C -1.08608 -0.31424 -2.06890
H 0.18140 -1.88472 -3.01416
H -1.48277 -1.74438 -3.65470
C 0.01528 -0.21895 -0.96250
H -2.00628 -0.72597 -1.62256
H -2.35704 0.90751 -3.29581
C -1.60233 2.21652 -1.85509
C 1.31627 -0.34963 -4.78627
C -0.93252 -0.35181 -5.69394
O -1.70840 0.52134 -6.03390
O 2.16399 -0.96015 -4.14703
O 1.59305 0.26799 -5.94795
O -0.74592 -1.42432 -6.49235
C 0.05793 -2.60387 -6.21227
H 0.08700 -2.87599 -5.14350
H 1.07128 -2.44637 -6.61448
H -0.43778 -3.39222 -6.78610
C 2.98916 0.24119 -6.25885
H 3.56196 0.75348 -5.47273
H 3.08436 0.75964 -7.21293
H 3.34665 -0.79476 -6.33433
O -0.38131 0.22939 0.29514
H 0.84975 0.40035 -1.35906
H 0.45931 -1.23656 -0.87211
C -2.96416 2.52975 -1.41488
C -0.47465 3.06317 -1.46757
H 0.00005 3.57103 -2.32610
H 0.30899 2.48984 -0.94540
H -0.82047 3.83825 -0.77116
H -2.95090 2.87964 -0.37473
H -3.62400 1.65500 -1.49039
H -3.40952 3.33608 -2.02429
Fe -0.00251 -0.14611 2.22169
C -1.95919 -1.19829 3.29596
C -2.39980 -1.01719 1.95128
C -1.63915 -1.89438 1.13007
H -3.19636 -0.35829 1.62396
C -0.65503 -2.54330 1.92705
____________
_Solution_
Br -1.296 0.800 3.251
C -2.127 -0.959 3.372
C -1.112 -2.021 3.714
Br -0.028 -2.489 2.162
H -2.635 -1.136 2.424
H -2.871 -0.868 4.165
H -1.610 -2.948 4.004
H -0.424 -1.722 4.504
Br 1.617 3.200 1.302
C 0.396 4.200 2.445
C -0.647 4.925 1.631
Br 0.092 6.522 0.794
H 1.006 4.866 3.056
H -0.070 3.451 3.087
H -1.452 5.287 2.273
H -1.071 4.316 0.834
Br 0.048 3.283 -3.700
C 0.529 3.837 -5.509
C 1.878 4.512 -5.533
Br 1.768 6.337 -4.858
H -0.278 4.473 -5.873
H 0.550 2.914 -6.092
H 2.240 4.609 -6.558
H 2.629 3.996 -4.935
Br -2.825 -5.127 5.878
C -1.552 -6.053 4.728
C -0.247 -6.302 5.443
Br 0.822 -4.675 5.548
H -1.440 -5.450 3.826
H -2.035 -6.997 4.470
H 0.367 -7.010 4.886
H -0.376 -6.664 6.463
```

(2)
This record from the Open Molecules 2025 dataset describes a single C9H18N2O molecule in a non-equilibrium geometry. The level of theory is ωB97M-V/def2-TZVPD.

Values from the calculation:
Structure (SMILES) ... CC(C)(C)C1CCN(N=O)CC1
LUMO energy ... 0.66 eV

```
30
C9H18N2O (ωB97M-V/def2-TZVPD)
C 2.073 1.442 0.181
C 1.434 0.408 -0.819
C 1.165 1.052 -2.219
C 2.302 -0.945 -1.022
C 0.001 -0.015 -0.174
C 0.116 -0.998 1.106
C -1.248 -1.280 1.654
N -2.438 -0.842 0.904
N -3.774 -1.098 1.060
O -4.104 -1.981 1.814
C -2.454 0.385 0.095
C -1.113 1.046 0.075
H 1.335 2.228 0.435
H 3.089 1.747 -0.127
H 2.270 1.130 1.168
H 0.369 0.444 -2.671
H 0.680 2.009 -1.934
H 2.217 1.202 -2.731
H 2.588 -1.424 -2.058
H 3.347 -0.629 -0.695
H 2.151 -1.906 -0.489
H -0.376 -0.874 -0.912
H 0.537 -1.988 0.965
H 0.767 -0.368 1.702
H -1.433 -2.312 1.951
H -1.297 -0.880 2.645
H -2.823 -0.059 -0.840
H -3.123 1.112 0.407
H -0.900 1.510 1.174
H -1.356 1.883 -0.645
```

* * * * *

C26H39FeO6Si | the ωB97M-V functional and the def2-TZVPD basis

CARTESIAN COORDINATES (ANGSTROEM)
C -0.13605 -0.20198 -4.37412
C -0.62082 -1.18102 -3.26237
C -0.30855 1.22707 -3.81516
C -1.40991 1.07422 -2.75012
H -0.58882 1.91404 -4.62242
H 0.63495 1.55942 -3.35352
C -1.08608 -0.31424 -2.06890
H 0.18140 -1.88472 -3.01416
H -1.48277 -1.74438 -3.65470
C 0.01528 -0.21895 -0.96250
H -2.00628 -0.72597 -1.62256
H -2.35704 0.90751 -3.29581
C -1.60233 2.21652 -1.85509
C 1.31627 -0.34963 -4.78627
C -0.93252 -0.35181 -5.69394
O -1.70840 0.52134 -6.03390
O 2.16399 -0.96015 -4.14703
O 1.59305 0.26799 -5.94795
O -0.74592 -1.42432 -6.49235
C 0.05793 -2.60387 -6.21227
H 0.08700 -2.87599 -5.14350
H 1.07128 -2.44637 -6.61448
H -0.43778 -3.39222 -6.78610
C 2.98916 0.24119 -6.25885
H 3.56196 0.75348 -5.47273
H 3.08436 0.75964 -7.21293
H 3.34665 -0.79476 -6.33433
O -0.38131 0.22939 0.29514
H 0.84975 0.40035 -1.35906
H 0.45931 -1.23656 -0.87211
C -2.96416 2.52975 -1.41488
C -0.47465 3.06317 -1.46757
H 0.00005 3.57103 -2.32610
H 0.30899 2.48984 -0.94540
H -0.82047 3.83825 -0.77116
H -2.95090 2.87964 -0.37473
H -3.62400 1.65500 -1.49039
H -3.40952 3.33608 -2.02429
Fe -0.00251 -0.14611 2.22169
C -1.95919 -1.19829 3.29596
C -2.39980 -1.01719 1.95128
C -1.63915 -1.89438 1.13007
H -3.19636 -0.35829 1.62396
C -0.65503 -2.54330 1.92705